EU To Invest 193 Million € In Naval Defense Projects
The European Commission announced the results of the 2022 calls for proposals under the European Defence Fund (EDF) amounting to €832 million of EU funding in support of 41 joint defence research and development projects across the EU.
Xavier Vavasseur 27 Jun 2023
Six R&D project with Naval applications have been selected, from railgun technology to collaborative combat, for a total EU funding of 193 millions Euros.
According to a European Commission press release: The selected projects will help further develop EU’s high-end defence capabilities in critical areas such as, naval, ground, air combat, space-based early warning and cyber. For example, in the Naval field, the E-NACSOS project will focus on a new collaborative standard for anti-air and missile defence. In the Air category, the project REACTII will improve the resilience and management for electronic warfare. Another project in the space domain, ODIN’S EYE II, will build on the progress on space-based missile early warning and will gather industry from 14 EU Member States and Norway to increase European capability in this area. The EDF will also directly contribute to Cyber defence in three specific research and development projects.
The outcome of the 2022 calls reaffirms that the EDF contributes to the EU’s strategic autonomy and to creating a more competitive and integrated European defence technological and industrial base. The 2022 call results also confirm the strong interest and active engagement of the EU defence industry in all call topics and demonstrate their strong commitment to the ambition pursued through the programme. Selected consortia bring together 550 entities from across the EU and Norway and strongly involve SMEs, which represent 39% of all entities.
The European defence industry submitted, by 24 November 2022, 134 proposals for joint defence R&D projects in response to the 2022 European Defence Fund (EDF) calls for proposals, reflecting all the thematic priorities identified by the Member States with the support of the Commission.
Executive Vice-President, Margrethe Vestager, said: “The defence industry needs to continue to innovate to prepare for security threats. The results of the 2022 calls confirm the high interest of EU industry in the European Defence Fund (EDF). No less than 134 high-quality proposals competed for funding, out of which 41 were selected. With the help of the EDF National Focal Points that are also actively supported under this year’s budget, the Fund starts to get known beyond the circle of the traditional defence actors. We can be proud that SMEs account for 39% of the entities participating in selected projects. It demonstrates the attractiveness of the Fund to small and often new defence players”.
Commissioner for Internal Market, Thierry Breton, said: “Through the European Defence Fund, the EU invests in technologies and capabilities against emerging and future threats — in naval, ground, air, space or cyber — with a specific focus this year on air defence capacities, electronic warfare and cyber-defence. The EDF is a strong contribution to Europe’s freedom of action, technological leadership and more integrated European defence industrial basis. The projects undertaken this year demonstrate that European Member States, through effective cooperation, are building a stronger European Defence.”
EU Naval Defense R&D Projects
Six projects with naval applications have been selected by the European Commission, under the European Defence Fund (EDF), amounting to €193 million of EU funding. Here are more details about each one of them:
What comes next are materials data, not part of the article >
┌──
(1)
DFT (PBE) results for a relaxed structure of AsOsC2.

## Properties
* density of states at the Fermi level: 2.10 states/eV/f.u.
* magnetic moment: 0.000 Bohr magnetons per cell
* electronic total energy: -60.79 eV/cell
* crystal system: tetragonal

abc: 4.7266 4.7266 5.6477
angles: 65.26 65.26 90.00
Atoms (fractional coordinates):
As 0.5000 0.5000 0.0000
As 0.2500 0.7500 0.5000
Os 0.0000 0.0000 0.0000
Os 0.7500 0.2500 0.5000
C 0.6292 0.1250 0.2500
C 0.1208 0.6250 0.2500
C 0.3750 0.3708 0.7500
C 0.8750 0.8792 0.7500



(2)
DFT (PBE) results for a relaxed structure of As3OsC.

## Properties
* density of states at the Fermi level: 2.90 states/eV/f.u.
* magnetic moment: 0.000 Bohr magnetons per cell
* electronic total energy: -27.84 eV/cell
* crystal system: cubic

abc: 4.2024 4.2024 4.2024
angles: 90.00 90.00 90.00
Atoms (fractional coordinates):
As 0.0000 0.5000 0.0000
As 0.0000 0.0000 0.5000
As 0.5000 0.0000 0.0000
Os 0.5000 0.5000 0.5000
C 0.0000 0.0000 0.0000



(3)
DFT (PBE) results for a relaxed structure of As2OsC.

## Properties
* density of states at the Fermi level: 0.13 states/eV/f.u.
* magnetic moment: 0.000 Bohr magnetons per cell
* electronic total energy: -53.46 eV/cell
* crystal system: tetragonal

abc: 5.3130 5.3130 5.8922
angles: 63.20 63.20 90.00
Atoms (fractional coordinates):
As 0.5694 0.1250 0.2500
As 0.1806 0.6250 0.2500
As 0.3750 0.4306 0.7500
As 0.8750 0.8194 0.7500
Os 0.0000 0.0000 0.0000
Os 0.7500 0.2500 0.5000
C 0.5000 0.5000 0.0000
C 0.2500 0.7500 0.5000



(4)
DFT (PBE) results for a relaxed structure of As3OsC.

## Properties
* density of states at the Fermi level: 3.38 states/eV/f.u.
* magnetic moment: 0.710 Bohr magnetons per cell
* electronic total energy: -24.98 eV/cell
* crystal system: cubic

abc: 4.7781 4.7781 4.7781
angles: 90.00 90.00 90.00
Atoms (fractional coordinates):
As 0.0000 0.5000 0.0000
As 0.0000 0.0000 0.5000
As 0.5000 0.0000 0.0000
Os 0.0000 0.0000 0.0000
C 0.5000 0.5000 0.5000



(5)
DFT (PBE) results for a relaxed structure of AsOsCSe2.

## Properties
* density of states at the Fermi level: 6.84 states/eV/f.u.
* magnetic moment: 0.643 Bohr magnetons per cell
* electronic total energy: -22.43 eV/cell
* uncorrected formation energy: 1.929 eV per atom
* crystal system: tetragonal

abc: 4.9435 4.9435 4.7063
angles: 90.00 90.00 90.00
Atoms (fractional coordinates):
As 0.0000 0.0000 0.5000
Os 0.0000 0.0000 0.0000
C 0.5000 0.5000 0.5000
Se 0.0000 0.5000 0.0000
Se 0.5000 0.0000 0.0000



(6)
DFT (PBE) results for a relaxed structure of AsOsCSe2.

## Properties
* density of states at the Fermi level: 3.18 states/eV/f.u.
* magnetic moment: 0.000 Bohr magnetons per cell
* electronic total energy: -24.72 eV/cell
* uncorrected formation energy: 1.471 eV per atom
* crystal system: tetragonal

abc: 4.2805 4.2805 4.1458
angles: 90.00 90.00 90.00
Atoms (fractional coordinates):
As 0.0000 0.0000 0.5000
└──
The European Naval Collaborative Surveillance Operational Standard (E-NACSOS) project aims to ensure superiority at sea of EU naval surface vessels while securing the EU naval surveillance sovereignty by developing novel protocols, interfaces and target architecture enabling to tackle new and asymmetric threats from Anti-Air-Warfare / Air & Missile Defence domain. E-NACSOS will improve the ability to identify, classify and track those threats.
Related PESCO project: EU Collaborative Warfare Capabilities (ECoWAR).
Estimated total cost: 101,388,327.64 €.
Maximum EU contribution: 64,999,998.74 €.
The EUROpean Goal based mUlti mission Autonomous naval Reference platform Development (EUROGUARD) contributes to the need for more rapid response capabilities by well-coordinated EU naval vessel fleets with advanced platform and weapon systems’ technologies EUROGUARD will integrate innovative EU technologies, into a demonstrator vessel able to carry several modular mission modules to demonstrate, in a representative environment, autonomous operation for a number of coastal operations. EUROGUARD will enable EU navies to further explore the feasibility to use of medium sized semi-autonomous vessels either working independently or as part of a fleet.
Related PESCO project: Medium Size Semi-Autonomous Surface Vehicle (M-SASV)
Estimated total cost: 95,021,353.98 €.
Maximum EU contribution: 65,000,000.00 €.
The SWArm and Teaming operation of manned & unmanned underwater vehicle SHOAL (SWAT-SHOAL) develops a concept of a system-of-systems, based on swarming technologies, to integrate manned and unmanned naval assets, collaborating effectively as a team to achieve greater performance and efficiency in a broad spectrum of underwater missions against moving subsurface threats. The system will enable that different vehicle types, working in a team as a single unit, can face more complex scenarios, or that they are organized as a squad assigning a defined task to each platform.
Estimated total cost: 25,000,000.00 €.
Maximum EU contribution: 25,000,000.00 €.
The Sustainable Components for Underwater Acoustics using Lead-free materials in Europe (SCUALE) project aims to study, develop and produce advanced lead-free materials and components to replace PZT (Lead Zirconate Titanate) existing ceramics with improved performance for military underwater acoustics applications. The overarching goal of SCUALE project is to initiate the establishment of at least one European supply chain of lead-free piezoelectric materials that are suitable for underwater acoustics military applications.
Estimated total cost: 19,331,577.00 €.
Maximum EU contribution: 19,331,577.00 €.
The TecHnology for ElectroMagnetic Artillery (THEMA) project will maturate electromagnetic gun critical components, notably the pulsed-power supply, the electromagnetic railgun and the hypervelocity projectile. It will offer a hypersonic interceptor with enhanced precision and lethality to defeat the main challenging threats. Electromagnetic gun is expected to complement other defensive means like missiles and guns, and could be adapted to various naval platforms and land permanent air defence systems.
Estimated total cost: 14,991,939.22 €.
Maximum EU contribution: 14,991,939.22 €.
PASITHEA aims to develop a Hybrid Autonomous Unmanned Vehicle system that will operate in land, sea and air platforms and units. PASITHEA will develop Hybrid Autonomous Unmanned Vehicles (HAUV) combining Unmanned Aerial Vehicle and Unmanned Underwater Vehicle technologies. The vehicles will be able to fly, hover in the air and sail under the water and to repeat air water trans-media motions. The HAUV will be able to be launched, operated and controlled by land, sea, and air platforms and units. The project includes the design of a Command, Control, Communication and Intelligence system.
Estimated total cost: 3,998,845.08 €.
Maximum EU contribution: 3,998,844.89 €. ... -projects/